........
Li2CuNiP2O8 after structural relaxation, computed with GGA+U.

a = 4.7428 Å, b = 6.0366 Å, c = 10.0440 Å
α = 90.00°, β = 91.55°, γ = 90.00°
Last column: nearest neighbours and their distance in Å.
Space group P2_1/m (No. 11)
Symmetry-distinct sites (fractional):
Li 0.0000 0.0000 0.0000 (multiplicity 2)  6 O 2.12-2.21
Li 0.5000 0.0000 0.5000 (multiplicity 2)  6 O 2.14-2.17
Cu 0.0447 0.2500 0.7189 (multiplicity 2)  4 O 1.98-2.07
Ni 0.4835 0.2500 0.2215 (multiplicity 2)  6 O 2.04-2.16
P 0.0749 0.7500 0.5929 (multiplicity 2)  4 O 1.53-1.57
P 0.4167 0.7500 0.0966 (multiplicity 2)  4 O 1.56
O 0.1877 0.7500 0.4478 (multiplicity 2)  1 P 1.57
O 0.2221 0.5483 0.6647 (multiplicity 4)  1 P 1.57
O 0.2480 0.2500 0.4029 (multiplicity 2)  1 P 1.53
O 0.2553 0.2500 0.8965 (multiplicity 2)  1 P 1.56
O 0.2861 0.5421 0.1643 (multiplicity 4)  1 P 1.56
O 0.2977 0.7500 0.9507 (multiplicity 2)  1 P 1.56

Properties
energy relative to the elements	-2271	meV/atom
volume	143.7	Å³/f.u.
magnetization	1.0	μB per formula unit

* * * * *

[1]
YLuRh2 | PBE-GGA | optimized geometry

```
YLuRh2
1.0
2.168 -0.925 4.201
-2.255 -2.632 3.346
1.529 -4.460 0.990
Y Lu Rh
1 1 2
Direct
0.000 0.000 0.000 Y
0.500 0.500 0.500 Lu
0.250 0.250 0.250 Rh
0.750 0.750 0.750 Rh
```

The crystal system is cubic. Its space-group type is Fm-3m. As for the formation energy: -0.9201 eV per atom.

=====

[2]
TiZn2O4 | PBE-GGA | optimized geometry

```
TiZn2O4
1.0
-2.608 -4.317 -3.404
5.488 -1.823 -1.893
0.450 -5.403 6.508
Ti Zn O
4 8 16
Direct
0.239 0.500 0.250 Ti
0.500 0.761 0.500 Ti
0.500 0.239 0.000 Ti
0.761 0.500 0.750 Ti
0.000 0.243 0.000 Zn
0.000 0.757 0.500 Zn
0.254 0.254 0.625 Zn
0.254 0.746 0.875 Zn
0.243 0.000 0.250 Zn
0.757 0.000 0.750 Zn
0.746 0.254 0.375 Zn
0.746 0.746 0.125 Zn
0.516 0.734 0.733 O
0.516 0.266 0.767 O
0.734 0.974 0.499 O
0.734 0.026 0.001 O
0.734 0.516 0.517 O
0.734 0.484 0.983 O
0.974 0.734 0.751 O
0.974 0.266 0.749 O
0.026 0.734 0.249 O
0.026 0.266 0.251 O
0.266 0.516 0.483 O
0.266 0.484 0.017 O
0.266 0.974 0.501 O
0.266 0.026 0.999 O
0.484 0.734 0.267 O
0.484 0.266 0.233 O
```

The total magnetization is 0.0 Bohr magnetons per cell. The crystal system is tetragonal. Its space-group type is P4_322. The MP2020-corrected energy comes out at -0.250 Ha/atom. For the energy above the most stable polymorph in this dataset, the calculation gives 0.0001 eV/atom. As for the formation energy: -2.4967 eV per atom.

=====

[3]
Th4P6O23 | PBE-GGA | optimized geometry

```
Th4P6O23
1.0
-3.923 5.503 2.371
-2.572 -5.521 8.559
10.375 4.737 6.173
Th P O
8 12 46
Direct
0.000 0.489 0.914 Th
0.500 0.022 0.816 Th
0.000 0.022 0.684 Th
0.500 0.491 0.588 Th
0.000 0.511 0.414 Th
0.500 0.978 0.316 Th
0.000 0.978 0.184 Th
0.500 0.509 0.088 Th
0.000 0.125 0.917 P
0.500 0.375 0.865 P
0.211 0.723 0.743 P
0.789 0.723 0.743 P
0.000 0.374 0.636 P
0.500 0.126 0.583 P
0.000 0.875 0.417 P
0.500 0.625 0.365 P
0.789 0.277 0.243 P
0.211 0.277 0.243 P
0.000 0.626 0.136 P
0.500 0.874 0.083 P
0.500 0.949 0.980 O
0.000 0.267 0.938 O
0.669 0.425 0.930 O
0.331 0.425 0.930 O
0.500 0.229 0.860 O
0.167 0.082 0.847 O
0.833 0.082 0.847 O
0.804 0.653 0.845 O
0.196 0.653 0.845 O
0.500 0.429 0.756 O
0.277 0.863 0.756 O
0.723 0.863 0.756 O
0.000 0.429 0.745 O
0.000 0.751 0.699 O
0.690 0.654 0.658 O
0.310 0.654 0.658 O
0.669 0.083 0.652 O
0.331 0.083 0.652 O
0.000 0.228 0.641 O
0.832 0.424 0.571 O
0.168 0.424 0.571 O
0.500 0.268 0.563 O
0.000 0.950 0.520 O
0.500 0.051 0.480 O
0.000 0.733 0.438 O
0.669 0.575 0.430 O
0.331 0.575 0.430 O
0.500 0.771 0.360 O
0.167 0.918 0.347 O
0.833 0.918 0.347 O
0.196 0.347 0.345 O
0.804 0.347 0.345 O
0.500 0.571 0.256 O
0.723 0.137 0.256 O
0.277 0.137 0.256 O
0.000 0.571 0.245 O
0.000 0.249 0.199 O
0.690 0.346 0.158 O
0.310 0.346 0.158 O
0.669 0.917 0.152 O
0.331 0.917 0.152 O
0.000 0.772 0.141 O
0.168 0.576 0.071 O
0.832 0.576 0.071 O
0.500 0.732 0.063 O
0.000 0.050 0.020 O
```
........

The reader should return everything earlier on without additions.

Li2CuNiP2O8 after structural relaxation, computed with GGA+U.

a = 4.7428 Å, b = 6.0366 Å, c = 10.0440 Å
α = 90.00°, β = 91.55°, γ = 90.00°
Last column: nearest neighbours and their distance in Å.
Space group P2_1/m (No. 11)
Symmetry-distinct sites (fractional):
Li 0.0000 0.0000 0.0000 (multiplicity 2)  6 O 2.12-2.21
Li 0.5000 0.0000 0.5000 (multiplicity 2)  6 O 2.14-2.17
Cu 0.0447 0.2500 0.7189 (multiplicity 2)  4 O 1.98-2.07
Ni 0.4835 0.2500 0.2215 (multiplicity 2)  6 O 2.04-2.16
P 0.0749 0.7500 0.5929 (multiplicity 2)  4 O 1.53-1.57
P 0.4167 0.7500 0.0966 (multiplicity 2)  4 O 1.56
O 0.1877 0.7500 0.4478 (multiplicity 2)  1 P 1.57
O 0.2221 0.5483 0.6647 (multiplicity 4)  1 P 1.57
O 0.2480 0.2500 0.4029 (multiplicity 2)  1 P 1.53
O 0.2553 0.2500 0.8965 (multiplicity 2)  1 P 1.56
O 0.2861 0.5421 0.1643 (multiplicity 4)  1 P 1.56
O 0.2977 0.7500 0.9507 (multiplicity 2)  1 P 1.56

Properties
energy relative to the elements	-2271	meV/atom
volume	143.7	Å³/f.u.
magnetization	1.0	μB per formula unit

* * * * *

[1]
YLuRh2 | PBE-GGA | optimized geometry

```
YLuRh2
1.0
2.168 -0.925 4.201
-2.255 -2.632 3.346
1.529 -4.460 0.990
Y Lu Rh
1 1 2
Direct
0.000 0.000 0.000 Y
0.500 0.500 0.500 Lu
0.250 0.250 0.250 Rh
0.750 0.750 0.750 Rh
```

The crystal system is cubic. Its space-group type is Fm-3m. As for the formation energy: -0.9201 eV per atom.

=====

[2]
TiZn2O4 | PBE-GGA | optimized geometry

```
TiZn2O4
1.0
-2.608 -4.317 -3.404
5.488 -1.823 -1.893
0.450 -5.403 6.508
Ti Zn O
4 8 16
Direct
0.239 0.500 0.250 Ti
0.500 0.761 0.500 Ti
0.500 0.239 0.000 Ti
0.761 0.500 0.750 Ti
0.000 0.243 0.000 Zn
0.000 0.757 0.500 Zn
0.254 0.254 0.625 Zn
0.254 0.746 0.875 Zn
0.243 0.000 0.250 Zn
0.757 0.000 0.750 Zn
0.746 0.254 0.375 Zn
0.746 0.746 0.125 Zn
0.516 0.734 0.733 O
0.516 0.266 0.767 O
0.734 0.974 0.499 O
0.734 0.026 0.001 O
0.734 0.516 0.517 O
0.734 0.484 0.983 O
0.974 0.734 0.751 O
0.974 0.266 0.749 O
0.026 0.734 0.249 O
0.026 0.266 0.251 O
0.266 0.516 0.483 O
0.266 0.484 0.017 O
0.266 0.974 0.501 O
0.266 0.026 0.999 O
0.484 0.734 0.267 O
0.484 0.266 0.233 O
```

The total magnetization is 0.0 Bohr magnetons per cell. The crystal system is tetragonal. Its space-group type is P4_322. The MP2020-corrected energy comes out at -0.250 Ha/atom. For the energy above the most stable polymorph in this dataset, the calculation gives 0.0001 eV/atom. As for the formation energy: -2.4967 eV per atom.

=====

[3]
Th4P6O23 | PBE-GGA | optimized geometry

```
Th4P6O23
1.0
-3.923 5.503 2.371
-2.572 -5.521 8.559
10.375 4.737 6.173
Th P O
8 12 46
Direct
0.000 0.489 0.914 Th
0.500 0.022 0.816 Th
0.000 0.022 0.684 Th
0.500 0.491 0.588 Th
0.000 0.511 0.414 Th
0.500 0.978 0.316 Th
0.000 0.978 0.184 Th
0.500 0.509 0.088 Th
0.000 0.125 0.917 P
0.500 0.375 0.865 P
0.211 0.723 0.743 P
0.789 0.723 0.743 P
0.000 0.374 0.636 P
0.500 0.126 0.583 P
0.000 0.875 0.417 P
0.500 0.625 0.365 P
0.789 0.277 0.243 P
0.211 0.277 0.243 P
0.000 0.626 0.136 P
0.500 0.874 0.083 P
0.500 0.949 0.980 O
0.000 0.267 0.938 O
0.669 0.425 0.930 O
0.331 0.425 0.930 O
0.500 0.229 0.860 O
0.167 0.082 0.847 O
0.833 0.082 0.847 O
0.804 0.653 0.845 O
0.196 0.653 0.845 O
0.500 0.429 0.756 O
0.277 0.863 0.756 O
0.723 0.863 0.756 O
0.000 0.429 0.745 O
0.000 0.751 0.699 O
0.690 0.654 0.658 O
0.310 0.654 0.658 O
0.669 0.083 0.652 O
0.331 0.083 0.652 O
0.000 0.228 0.641 O
0.832 0.424 0.571 O
0.168 0.424 0.571 O
0.500 0.268 0.563 O
0.000 0.950 0.520 O
0.500 0.051 0.480 O
0.000 0.733 0.438 O
0.669 0.575 0.430 O
0.331 0.575 0.430 O
0.500 0.771 0.360 O
0.167 0.918 0.347 O
0.833 0.918 0.347 O
0.196 0.347 0.345 O
0.804 0.347 0.345 O
0.500 0.571 0.256 O
0.723 0.137 0.256 O
0.277 0.137 0.256 O
0.000 0.571 0.245 O
0.000 0.249 0.199 O
0.690 0.346 0.158 O
0.310 0.346 0.158 O
0.669 0.917 0.152 O
0.331 0.917 0.152 O
0.000 0.772 0.141 O
0.168 0.576 0.071 O
0.832 0.576 0.071 O
0.500 0.732 0.063 O
0.000 0.050 0.020 O
```